
  • 网络product group
  1. 经过一次显著的变革后,关注曾被忽视的广告体验已经变成了每个产品集团的主要职责。

    In a notable change , the advertising experience , once an afterthought , was turned into a key responsibility for every product group .

  2. 芯片制造商英特尔(Intel)和韩国电子产品集团三星(Samsung)等先行者已在越南设厂并在扩大生产。

    Pioneers like chipmaker Intel and Samsung , the South Korean electronics group , have already set up factories in Vietnam and are ramping up production .

  3. 尽管增长惊人,但电视剧制作公司与该国三星(Samsung)等电子产品集团或造船企业在销售额上仍不可同日而语。

    Despite the impressive growth , the soap-opera makers are in no danger of overtaking the multibillion-dollar sales of the country 's electronics groups such as Samsung , or shipbuilders .

  4. 荷兰电子产品集团飞利浦(philips)中国区总裁张(davidchang)表示,过去4年,对于制造商而言,中国成为一个更为稳定的市场。

Molecular data, kept here for reference.
ORCA calculation (wB97M-V/def2-TZVPD) on a structure of composition C45H30BBaClF17O5PS.

```
102
Properties=species:S:1:pos:R:3:lowdin_charge:R:1
Ba 0.798 0.389 -0.386 1.65
C -0.094 -4.862 -2.771 -0.08
C 1.241 -4.166 -2.696 -0.29
C 1.552 -3.151 -3.597 -0.02
C 2.783 -2.507 -3.559 -0.26
C 3.113 -1.393 -4.517 -0.04
C 3.712 -2.896 -2.600 -0.08
C 3.418 -3.884 -1.668 -0.27
C 4.405 -4.204 -0.581 -0.06
C 2.179 -4.515 -1.732 -0.04
H -0.910 -4.138 -2.787 0.06
H -0.242 -5.517 -1.913 0.06
H -0.168 -5.466 -3.679 0.07
H 0.813 -2.850 -4.331 0.10
H 2.228 -1.064 -5.061 0.06
H 3.864 -1.713 -5.244 0.08
H 3.525 -0.537 -3.978 0.07
H 4.662 -2.379 -2.537 0.08
H 4.101 -5.084 -0.012 0.07
H 4.485 -3.350 0.096 0.06
H 5.401 -4.380 -0.991 0.08
H 1.931 -5.278 -1.000 0.11
Cl -0.478 -3.152 0.281 0.74
C -1.710 -3.340 1.495 -0.64
C -1.649 -4.494 2.264 -0.12
C -2.603 -4.723 3.237 -0.09
C -3.626 -3.805 3.436 -0.09
C -3.675 -2.661 2.660 -0.10
C -2.716 -2.394 1.680 -0.38
P -2.762 -0.871 0.654 1.12
C -4.586 -0.677 0.512 -0.38
C -5.283 0.434 0.974 -0.08
C -6.653 0.548 0.765 -0.09
C -7.344 -0.449 0.096 -0.11
C -6.656 -1.563 -0.374 -0.10
C -5.291 -1.669 -0.175 -0.11
C -2.354 0.458 1.847 -0.39
C -2.312 0.315 3.232 -0.08
C -1.886 1.367 4.028 -0.08
C -1.501 2.573 3.457 -0.08
C -1.545 2.730 2.082 -0.06
C -1.970 1.677 1.282 -0.15
H -0.837 -5.190 2.104 0.10
H -2.543 -5.617 3.845 0.10
H -4.378 -3.977 4.196 0.10
H -4.477 -1.947 2.809 0.11
H -4.753 1.217 1.502 0.10
H -7.178 1.423 1.129 0.10
H -8.411 -0.359 -0.067 0.09
H -7.184 -2.343 -0.908 0.10
H -4.756 -2.530 -0.560 0.11
H -2.545 -0.635 3.691 0.10
H -1.814 1.228 5.100 0.11
H -1.128 3.375 4.082 0.10
H -1.207 3.649 1.621 0.10
H -1.978 1.798 0.204 0.08
F 6.799 2.292 3.970 0.08
C 6.204 1.690 2.921 -0.16
C 4.831 1.741 2.766 -0.15
F 4.098 2.397 3.672 0.11
C 4.240 1.118 1.682 -0.25
F 2.907 1.190 1.594 -0.01
C 4.956 0.425 0.702 -0.59
S 4.223 -0.350 -0.671 0.53
C 6.340 0.401 0.910 -0.26
F 7.141 -0.237 0.038 0.05
C 6.955 1.013 1.984 -0.16
F 8.295 0.956 2.125 0.08
F -3.237 1.526 -1.834 0.15
C -3.106 0.796 -2.944 -0.54
F -3.814 1.422 -3.909 0.14
F -3.716 -0.379 -2.720 0.14
C -1.593 0.586 -3.309 -0.37
O -0.852 0.343 -2.237 -0.42
C -1.521 -0.614 -4.312 -0.54
F -0.351 -0.615 -4.976 0.14
F -2.496 -0.608 -5.247 0.14
F -1.605 -1.781 -3.669 0.15
C -1.093 1.876 -4.047 -0.54
F -1.492 2.976 -3.396 0.16
F -1.546 1.982 -5.319 0.13
F 0.237 1.899 -4.105 0.16
O 0.992 4.363 -1.366 0.04
B 1.280 3.417 -0.301 -0.41
O 1.665 4.254 0.815 0.04
C 1.604 5.551 0.430 -0.25
C 1.880 6.688 1.158 -0.01
C 1.730 7.918 0.510 -0.13
C 1.319 7.985 -0.815 -0.13
C 1.043 6.825 -1.545 -0.01
C 1.194 5.616 -0.899 -0.26
H 2.205 6.621 2.188 0.11
H 1.939 8.834 1.051 0.08
H 1.211 8.952 -1.292 0.08
H 0.722 6.863 -2.579 0.11
F 2.652 -0.560 4.201 0.13
C 1.359 -0.164 4.177 -0.54
F 1.350 1.154 3.956 0.14
F 0.877 -0.351 5.425 0.11
C 0.560 -0.978 3.110 -0.60
O 0.033 -2.009 3.515 0.05
O 0.574 -0.472 1.959 -0.30
```

## Properties
- lowest unoccupied orbital energy (eV) = 3.9
- energy (hartree) = -5057.15936

    China has become a more stable environment for manufacturers over the past four years , according to David Chang , President of China at Philips , the Dutch electronics group .

  5. 乌克兰农产品集团一直寻求与国有粮食交易商中粮(Cofco)等中国企业达成投资和出口协议。

    Ukrainian agricultural groups have sought investment and export deals with Chinese companies such as Cofco , the state-owned grains trader .

  6. 3G的领导者是三个巴西人,他们的投资资金是从全球最富有的家族募集的。3G将目标锁定于难以保持增长的美国大型消费者产品集团,这些集团如果采取积极的削减成本措施,就能迅速提高盈利能力。

    Led by three Brazilians who invest funds raised from the world 's wealthiest families , 3G wages its campaigns on large US consumer groups that have struggled to grow and where aggressive cost-cutting measures can rapidly improve profitability .

  7. 法美电信设备生产商阿尔卡特-朗迅(Alcatel-Lucent)及日本电子产品集团NEC昨日宣布成立新的合资企业,集中力量研发LTE技术。

    Alcatel-Lucent , the Franco-American telecoms equipment maker , and NEC , the Japanese electronics group , yesterday announced a new joint venture under which they will pool their research and development on LTE .

  8. 她还在平台集成问题上为产品集团提供建议。

    She also advises product groups on platform integration issues .

# Next to the piece, the page also holds data records
'''
[1]
ORCA calculation (wB97M-V/def2-TZVPD) on C15H14N4O2S in the gas phase.

Geometry as XYZ:
```
36
Properties=species:S:1:pos:R:3:forces:R:3:mulliken_charge:R:1
C 3.00808 3.74158 -0.19726 0.021 0.037 -0.022 -1.176
C 2.39431 2.68158 0.65330 -0.130 -0.209 -0.068 0.763
N 1.75913 1.70981 0.04580 0.349 0.580 -0.545 -0.527
C 1.21264 0.76278 0.78442 -0.174 -0.281 0.898 -0.152
N 0.54377 -0.29179 0.36802 0.220 0.141 -0.159 -0.188
C 0.16877 -0.97535 1.47648 0.253 0.330 0.531 -0.185
C 0.61342 -0.33906 2.61248 -0.481 -0.762 0.093 -0.461
N 1.28183 0.77044 2.19118 0.151 0.310 -0.938 0.260
C 1.93823 1.76394 2.83959 0.336 0.530 0.057 1.332
C 2.50564 2.73781 2.06400 -0.171 -0.289 0.202 -1.028
H 3.04059 3.55090 2.52667 0.036 0.054 0.108 0.396
C 1.99600 1.72150 4.32877 -0.046 -0.055 -0.139 -1.628
H 2.55132 2.57277 4.71053 0.011 0.020 0.003 0.372
H 2.48210 0.80383 4.66017 0.016 -0.054 0.054 0.358
H 0.98942 1.73832 4.74667 -0.052 -0.011 0.056 0.353
H 0.49607 -0.60081 3.64287 0.003 0.002 0.227 0.499
C -0.63939 -2.22143 1.38716 -0.193 -0.238 -0.470 -0.787
H -0.16170 -3.04472 1.91739 -0.052 -0.021 -0.012 0.510
H -1.64618 -2.06418 1.77707 0.112 -0.060 0.051 0.319
S -0.80564 -2.73657 -0.35182 -0.026 -0.334 0.373 -0.190
C -1.79011 -1.36496 -0.89350 0.102 -0.017 -0.212 0.772
N -2.78660 -1.01801 -0.09959 -0.060 -0.213 0.231 -0.504
C -3.60441 -0.05780 -0.48963 -0.191 0.241 -0.135 -0.490
C -3.49492 0.57892 -1.71584 0.123 -0.031 -0.029 -0.504
C -2.43252 0.23329 -2.53593 0.024 -0.140 0.101 -0.564
C -1.53099 -0.73640 -2.11459 -0.208 -0.025 0.177 0.393
C -0.31610 -1.02355 -2.95183 0.004 0.080 0.152 0.208
O -0.39460 -1.21891 -4.13596 0.000 0.018 -0.070 -0.597
O 0.84019 -0.99089 -2.30806 0.312 0.032 -0.249 -0.524
H 0.75261 -0.76682 -1.34444 -0.249 -0.023 -0.078 0.749
H -2.27552 0.71490 -3.48967 0.006 0.025 -0.089 0.455
H -4.20841 1.33101 -2.01237 -0.057 0.078 -0.009 0.407
H -4.38801 0.19445 0.21323 -0.102 0.102 -0.032 0.386
H 2.81634 3.52057 -1.24231 0.010 0.021 -0.041 0.347
H 4.08260 3.78392 -0.02720 0.093 0.059 -0.010 0.313
H 2.58908 4.71514 0.05206 0.011 0.105 -0.006 0.309
```
Positions in Å, forces in eV/Å.

Computed properties:
- charge = 0
- highest occupied orbital energy (eV) = -8.46
- lowest unoccupied orbital energy (eV) = 0.287
- relative energy (zero: lowest compared OMol25 entry of this formula, charge and spin) (eV) = 0.434
- E (eV) = -36673.9336
- SMILES = Cc1cc(C)n2cc(CSc3ncccc3C(=O)O)nc2n1
- gap between HOMO and LUMO (eV) = 8.75

=====

[2]
ORCA calculation (wB97M-V/def2-TZVPD) on a molecular structure, C15H15AuN2OS3Te.

Geometry as XYZ:
```
38
Properties=species:S:1:pos:R:3:forces:R:3:mulliken_charge:R:1
Au 1.61896 0.19499 1.38299 -0.131 0.007 0.306 0.224
S -0.98916 -1.10143 2.01155 -0.001 -0.077 0.086 -0.446
C -1.79510 0.41122 2.33470 -0.020 0.040 -0.032 0.136
C -2.97521 0.41593 3.10475 0.014 -0.005 -0.020 -0.541
C -3.68642 1.56692 3.39868 -0.006 -0.015 0.005 -0.445
C -3.23190 2.79207 2.92370 -0.017 0.028 0.004 -0.441
'''

  9. 某跨国工业产品集团的子公司,专业设计、生产和销售电子产品和特种塑料原件。

    A subsidiary of a worldwide , diversified manufacturer of Industrial products , designs , manufactures and markets highly engineered electromagnetic products and specialty plastic components .

  10. 国有企业中粮(COFCO)与来宝集团(NobleGroup)组建了一家农业合资公司,另外还购入荷兰农产品贸易集团Nidera的控股权,这些举措似乎是在遵循上述战略。

    The move by COFCO - or China National Cereals , Oil and Foodstuffs Corp - where the state-owned group took a stake in an agriculture joint venture with Noble Group , and separately purchased a controlling stake in Dutch agricultural trading house Nidera , seems to follow that strategy .

  11. 拉什·奈尔是福特全球产品开发集团的负责人。

    Raj Nair is Ford 's head of Global Product Development .

  12. 提出了对不合格率低的产品进行集团检验方法,提出了一次抽样、二次抽样的检验方法,并对样本量和临界值的选取方法进行了分析。

    This paper studys the group sampling inspection , introduces single sampling and double sampling , and gives the method of choosing sample size and critical value .

  13. 总部位于北京的联想控股,是在香港上市的电子产品制造商联想集团(Lenovo)的最大股东,并涉足房地产、农业和资产管理等许多行业。

    Beijing-based Legend is the largest shareholder of Hong Kong-listed electronics maker Lenovo , and has holdings across various industries including real estate , agribusiness and asset management .

  14. 产品管理:集团产品业务覆盖固话、宽带、移动、数据专线等全业务,较公众客户更为复杂。

    Product Management : Corporate Product include fixed line , broadband , mobile , data lines and other all-service , is more complex than the public one .

  15. 项目介绍项目内容:引进国外先进技术,开发新型乘用车系列产品,使集团形成年产各类汽车20万辆的生产能力。

    PROJECT CONTENTS : To introduce advanced foreign technology to develop new type series passenger vehicles so as to form annual production capacity of200,000 different motor vehicles .

  16. 由于阿里巴巴本身并不在其网站上销售产品,该集团的收入仅相当于亚马逊的十分之一左右,但利润率却高得多。

    Alibaba 's revenue is about one-tenth of Amazon 's because the Chinese company doesn 't sell products on its site . But Alibaba is far more profitable .

  17. 虽然去年市场环境艰困,但婴儿及儿童鞋的需求仍然稳定,令童鞋产品系列成为集团可靠的收入来源。

    Last year also proved that market demands for baby and children shoes were much more stable in tough market conditions , making this product category a reliable income source .

  18. 林先生说,在整个项目中,人力需求最密集的部分是研究哪些产品和顶新集团有关联,然后给它们拍照,输入到一个可疑产品的图形数据库中。

    The most labor-intensive part , according to Mr. Lin , was researching the products linked to Ting Hsin and photographing them to assemble a graphical database of items that should be flagged .

  19. 乔布斯推出的上一款产品iPhone,为集团贡献了三分之一的收入,并推动苹果的股价在一年里翻了一番。

    Mr Jobs ' last launch , the iPhone , accounts for more than a third of group revenues and sparked a doubling of Apple 's shares in a year .

  20. 作为一家私有企业,安利得以避免了其他一些直销公司因监管和投资者监督带来的麻烦。例如,今年年初,个人护理产品制造商美国如新集团(NuSkinEnterprises)因夸大产品功效遭到中国监管当局罚款。

    As a privately owned company , Amway has been spared the drama that has slammed some of its other direct-selling peers that faced regulatory and investor scrutiny : personal care products maker Nu Skin EnterprisesNUS - 3.63 % was fined earlier this year by Chinese authorities over its product claims ,

  21. 英国BPB集团成立于1915年,是以石膏板、矿棉板及其系统材料为主打产品的全球性跨国集团公司。

    The British BPB group establishes in1915 , regarding gypsum plank , the mineral cotton plank and its system material as principle beat the global multinational group company of product .

  22. 中国实施了一系列政府主导下的复苏国内乳品产业的努力,包括规定奶制品供应商应投资建立自己的奶牛场,由国有农产品企业巨头中粮集团(COFCO)出面收购曾经的顶尖民企蒙牛(Mengniu)。

    State-led efforts to revive the domestic industry have included regulations that dairy product suppliers invest in their own dairy farms and the acquisition of formerly private market leader Mengniu by state agribusiness giant Cofco .

  23. 晶化石产品项目是ZH集团公司根据国家西部大开发战略决策和自身实施精品化、多元化经营发展战略投资建设的科研产业化项目。

    The crystal stone product project is the ZH Group according to the national west big development strategy decision-making and own implementation high-quality goods , the multiplex management developmental strategy investment construction scientific research industrialization project .

  24. “christophorus”杂志是保时捷公司自己的出版物,其内容包括公司的产品和信息以及集团的活动。

    The Porsche magazine , christophorus , is a company publication that provides information on the company , the activities of the group and its products .

  25. 电子商务巨头阿里巴巴最近调整了旗下的一款旅游产品,而Priceline集团增持了在携程的股份。携程是去哪儿网的主要竞争对手之一。

    The Alibaba Group , the e-commerce behemoth , recently revamped one of its travel offerings , and the Priceline Group has grown its stake in Ctrip , one of Qunar 's main rivals .

  26. 中国的消费电子产品市场由国内集团主宰。

    Consumer electronics in China is dominated by local groups .

  27. 我国体育产品生产应走集团化之路

    Sports products producing in China should be organized

  28. 具体表现为首先各上游子公司以边际成本的价格为下游子公司提供中间产品,以使集团利润达到最大。

    The operation steps are the upstream divisions supply the intermediate products on marginal cost price firstly .

  29. 产品为中国一汽集团、玉柴集团、奇瑞轿车有限公司、常发集团等几十家国内知名企业配套。

These molecular data were left in the text by mistake:
=====
The ion C10H17N4O with charge +1 in a non-equilibrium geometry, computed with the ωB97M-V functional and the def2-TZVPD basis.

The geometry in XYZ format:
```
32
C10H17N4O, DFT the ωB97M-V functional and the def2-TZVPD basis
C -3.291 -0.680 -1.055
C -4.102 -2.633 -1.206
C -2.283 -1.626 -0.662
C -0.979 -1.404 -0.196
C 0.991 0.024 0.124
C 1.213 1.447 0.805
C 1.611 -1.038 1.012
C 1.632 0.183 -1.315
C 0.635 2.584 -0.004
C 2.599 1.735 1.148
N -4.380 -1.366 -1.427
N -2.834 -2.839 -0.741
N -0.419 -0.252 -0.030
N 0.425 1.326 2.074
O 0.276 2.375 2.665
H -3.289 0.413 -0.887
H -4.775 -3.435 -1.373
H -0.439 -2.317 -0.043
H 1.632 -0.749 2.020
H 2.674 -1.350 0.856
H 1.040 -1.944 0.964
H 1.275 1.154 -1.708
H 1.369 -0.688 -1.939
H 2.798 0.180 -1.161
H -0.337 2.388 -0.581
H 1.247 2.888 -0.920
H 0.469 3.576 0.594
H 3.131 1.775 0.292
H 2.981 0.896 1.754
H 2.658 2.606 1.680
H -2.457 -3.733 -0.764
H -1.069 0.507 0.023
```

Values from the calculation:
- ΔE to the lowest compared entry with this formula, charge and spin: 2.7070 eV
- Total charge: +1
- HOMO-LUMO gap: 7.54 eV
- Electronic energy: -18643.588 eV
- Structure (SMILES): CC(C)(N=O)C(C)(C)/[NH+]=C/c1cnc[nH]1
- Maximum force: 3.8 eV/Å

Mulliken population analysis, charges in e, atoms 1 to 5:
1. C -0.231
2. C -0.207
3. C -0.026
4. C 0.295
5. C 1.225

=====

A structure of composition C10H17N9O4RuS3, computed with the ωB97M-V functional and the def2-TZVPD basis.

The geometry in XYZ format:
```
44
C10H17N9O4RuS3, DFT the ωB97M-V functional and the def2-TZVPD basis
Ru 0.034 0.260 0.350
C 4.439 -0.828 -0.517
N 4.039 -0.708 0.886
C 4.871 -1.388 1.874
C 2.845 -0.195 1.178
N 2.109 0.489 0.341
N 2.403 -0.380 2.484
C 1.236 0.105 3.045
N 1.167 -0.078 4.381
N 0.307 0.684 2.363
H 5.180 -1.618 -0.594
H 4.876 0.103 -0.883
H 3.588 -1.133 -1.124
H 5.896 -1.385 1.516
H 4.557 -2.426 2.013
H 4.863 -0.856 2.824
H 2.505 0.503 -0.591
H 2.779 -1.190 2.951
H 1.967 -0.365 4.915
H 0.283 -0.018 4.855
H -0.451 1.032 2.936
N -2.612 -2.186 0.486
C -2.919 -0.911 0.256
N -2.057 0.093 0.203
C -2.704 1.295 -0.085
C -4.040 1.222 -0.204
S -4.561 -0.411 -0.014
C -1.845 2.467 -0.204
C -2.172 3.754 -0.416
S -0.752 4.743 -0.411
C 0.215 3.352 -0.093
N -0.479 2.231 -0.034
N 1.541 3.406 0.069
H -1.663 -2.526 0.346
H -3.338 -2.871 0.357
H -4.739 2.013 -0.413
H -3.145 4.186 -0.572
H 2.026 4.284 0.077
H 2.016 2.555 0.346
O -0.242 -3.282 -0.825
S 0.677 -2.242 -0.441
O 2.073 -2.584 -0.453
O 0.433 -0.949 -1.256
O 0.268 -1.692 0.940
```

Values from the calculation:
- ΔE to the lowest compared entry with this formula, charge and spin: 0.0000 eV
- Total charge: +1
- Multiplicity: 2
- HOMO-LUMO gap (alpha / beta): 8.46 / 7.02 eV
- Electronic energy: -67332.724 eV
- Maximum force: 0.5 eV/Å

Mulliken population analysis, charges in e, atoms 1 to 5:
1. Ru 0.115
2. C -1.310
3. N 0.252
4. C -1.208
5. C 0.575

----------

Molecular formula: C55H70NP3RuSi
Method: DFT, ωB97M-V/def2-TZVPD

Atoms and positions in Å:
H: -4.148 -0.149 1.290
C: -3.114 -0.753 4.943
=====

    Products for the China FAW Group , Yuchai Group , Chery cars Limited , and often the Group of dozens of well-known domestic enterprises supporting .

  30. 全球最大的合约电子产品制造商富士康科技集团上周四宣布,自己旗下一子公司向中国滴滴出行投资1.199亿美元(约合人民币8亿元)。

    Foxconn Technology Group , the world 's largest contract electronics manufacturer , revealed last Thursday its subsidiary had invested $ 119.9 million in Chinese ride-hailing company Didi Chuxing .